Sunday, February 28, 2010

Coincidence or Providence? (Part 2)

This is going to be a long one so brace yourself.

Since the D&C in December up until about a week ago, there has been no significant length of time that I haven't been bleeding on some level.  I kept telling myself it was my hormones, that my body was just trying to adjust after losing the baby.  I WANTED to think that I was being paranoid.  As it turns out I wasn't being paranoid at all.

Back when I miscarried, the ultrasound that showed there was no fetal heart rate anymore also caused the radiologist to be suspicious I had a bicornuate uterus.  This isn't a life threatening condition, but it can be serious enough that it will sometimes inhibit the survival of a baby in the uterus.  To put it simply, a bicornuate uterus is heart-shaped uterus with a septum running down the middle that can cut the uterus in half, thus not leaving enough room for a baby to develop in the womb.  Sometimes, if it is severe enough, it will cause miscarriages.  So, back to my point.  When my doctor read the report and saw suspicion of a bicornuate uterus, he told me to get an MRI a couple months after the miscarriage when my uterus was back to its normal size to investigate this possibility.

On Wednesday of last week I had the MRI done, which uncovered the cause of all of my medical issues and miscarriage in the last few months. The results of that MRI have determined that I have what is called a Uterine AVM (Uterine Arteriovenous Malformation).

10 unconnected molecules or ions with the total composition C40H60O30 at a distorted geometry, computed with ωB97M-V/def2-TZVPD.

Each atom is followed by the atoms it is bonded to, with distances in Å.
Element x y z (Å)
1 C -1.099 -0.267 1.330  C2 1.503, H8 1.092, H9 1.088, H10 1.091
2 C 0.232 -0.319 0.633  C1 1.503, C3 1.509, O7 1.438, H11 1.096
3 C 0.319 0.451 -0.661  C2 1.509, O4 1.427, H12 1.092, H13 1.090
4 O 1.636 0.999 -0.621  C3 1.427, C5 1.361
5 C 2.100 0.912 0.656  O4 1.361, O6 1.192, O7 1.336
6 O 3.151 1.339 1.023  C5 1.192
7 O 1.217 0.318 1.464  C2 1.438, C5 1.336
8 H -1.781 -0.837 0.695  C1 1.092
9 H -1.309 0.761 1.619  C1 1.088
10 H -1.042 -0.827 2.265  C1 1.091
11 H 0.553 -1.350 0.443  C2 1.096
12 H -0.394 1.275 -0.745  C3 1.092
13 H 0.137 -0.231 -1.492  C3 1.090
14 C -4.390 -3.466 4.328  C15 1.513, H21 1.097, H22 1.090, H23 1.087
15 C -4.497 -2.137 3.611  C14 1.513, C16 1.535, O20 1.411, H24 1.092
16 C -5.614 -1.194 4.079  C15 1.535, O17 1.421, H25 1.090, H26 1.094
17 O -4.925 -0.080 4.626  C16 1.421, C18 1.349
18 C -3.608 -0.187 4.355  O17 1.349, O19 1.190, O20 1.350
19 O -2.793 0.609 4.700  C18 1.190
20 O -3.346 -1.323 3.674  C15 1.411, C18 1.350
21 H -4.187 -3.287 5.390  C14 1.097
22 H -3.500 -4.003 4.004  C14 1.090
23 H -5.334 -4.000 4.254  C14 1.087
24 H -4.793 -2.380 2.588  C15 1.092
25 H -6.381 -1.616 4.730  C16 1.090
26 H -6.173 -0.842 3.206  C16 1.094
27 C -2.092 -3.954 0.057  C28 1.534, H34 1.087, H35 1.088, H36 1.096
28 C -1.415 -4.454 1.340  C27 1.534, C29 1.545, O33 1.431, H37 1.091
29 C -0.171 -5.338 1.102  C28 1.545, O30 1.411, H38 1.090, H39 1.090
30 O 0.872 -4.716 1.820  C29 1.411, C31 1.351
31 C 0.431 -3.563 2.368  O30 1.351, O32 1.182, O33 1.348
32 O 1.038 -2.823 3.061  C31 1.182
33 O -0.798 -3.286 1.890  C28 1.431, C31 1.348
34 H -2.607 -3.015 0.242  C27 1.087
35 H -2.652 -4.724 -0.470  C27 1.088
36 H -1.265 -3.713 -0.620  C27 1.096
37 H -2.067 -4.881 2.105  C28 1.091
38 H 0.050 -5.363 0.034  C29 1.090
39 H -0.410 -6.339 1.459  C29 1.090
40 C 2.706 -0.558 -4.608  C41 1.511, H47 1.093, H48 1.092, H49 1.087
41 C 3.115 -0.108 -3.225  C40 1.511, C42 1.532, O46 1.424, H50 1.097
42 C 4.561 -0.365 -2.788  C41 1.532, O43 1.423, H51 1.090, H52 1.091
43 O 4.844 0.773 -1.981  C42 1.423, C44 1.349
44 C 4.006 1.766 -2.346  O43 1.349, O45 1.183, O46 1.355
45 O 4.159 2.900 -2.047  C44 1.183
46 O 3.048 1.315 -3.192  C41 1.424, C44 1.355
47 H 1.691 -0.183 -4.760  C40 1.093
48 H 2.599 -1.645 -4.625  C40 1.092
49 H 3.329 -0.137 -5.393  C40 1.087
50 H 2.397 -0.448 -2.469  C41 1.097
51 H 5.247 -0.520 -3.621  C42 1.090
52 H 4.522 -1.283 -2.200  C42 1.091
53 C 0.446 -0.323 5.218  C54 1.530, H60 1.092, H61 1.091, H62 1.088
54 C 1.953 -0.576 5.134  C53 1.530, C55 1.556, O59 1.419, H63 1.088
55 C 2.816 0.529 4.462  C54 1.556, O56 1.414, H64 1.096, H65 1.086
56 O 3.854 0.775 5.390  C55 1.414, C57 1.368
57 C 3.564 0.164 6.579  O56 1.368, O58 1.196, O59 1.316
58 O 4.249 0.209 7.559  C57 1.196
59 O 2.530 -0.636 6.429  C54 1.419, C57 1.316
-- The data records stop here --

I'm sure you have never heard of this condition before. (If you have, I am astounded). AVMs are usually found in the brain or other parts of the body. Uterine AVMs are so rare that there have only been about 100 cases reported throughout the world. It is a life threatening condition in which a section of blood vessels lacks capillary network, resulting from an artery being delivered directly to a vein. This places pressure on the vein, which over time, may weaken and burst causing a hemmorage. It is believed this condition may be congenital or acqured. (This definition was taken from an excerpt at ( To put it bluntly, if not discovered quickly enough these AVMs can be fatal.

Now, let's back track.  Most likely, my miscarriage was caused by this Uterine AVM.  Here is the kicker though.  Had I NOT had a miscarriage and carried the pregnancy much longer, there is a very good chance, according to my doctor, that I would have hemmoraged and died.  Coincidence or providence?  (That's rhetorical).

Let's go back to the MRI now.  Pay attention now.  The reason I went for the MRI was because an ultrasound showed the possibility of bicornuate uterus.  Well, the MRI showed that there are NO signs of bicornuate uterus.  That MRI was COMPLETELY providence.  Had the radiologist not made the mistake of seeing a bicornuate uterus I may never have had that MRI.  Had I not had the MRI, I may not have discovered I had a Uterine AVM.  Had I not discovered I had a Uterine get the picture.

Let's go back to the D&C now.  It is a well known fact that when a woman has a Uterine AVM, it is just about the riskiest and worst thing to do a D&C.  The results can be catastrophic.  My hemmorage after the D&C was most likely caused by the Uterine AVM.  As a side note, in all fairness to my doctor, there is really almost no way he could have known I had a Uterine AVM at this point.  This condition is so rare, that I do not know if any doctor would have thought my bleeding during this miscarriage was caused by it.  I am just grateful that God guided his hands so that he was able stop the bleeding.  Knowing now how a D&C could have been fatal for me at that point - I realize God spared my life yet again that day.  Coincidence? No way.

Sheer providence.  All of it.  I have left out several other examples, that are equally as incredible as those listed above, of God's providence during this time, because they involve other people.  I want to respect their privacy so I do not want to mention any names.  But isn't this enough?  My life was spared over and over again.  The only reason we came to my diagnosis was because of a "mistake" a radiologist made.  What a wonderful mistake that was!  After all of this, I just cannot understand how anyone could even WONDER if there is a God.  This post only covers a few examples over the last 3 months of His obvious existence and love and mercy.  I could go back throughout my life and list example after example.

Today, I am just overcome by Him.

"Fear not, for I am with you;
be not dismayed, for I am your God;
I will strengthen you, I will help you,
I will uphold you with my righteous right hand."
(Isaiah 41:10)


Fiona E said...

I cried when I read these.

Megan Gahagan said...

I wanted to cry while I was writing them. I just could not pass up this opportunity to share with others clear evidence of God's existence and love for His children, even in "bad" circumstances.

Bernardeena said...

God always sees the bigger picture even when we think we know best and can't understand why we are going through hard times. I'm sorry you are having to go through the heartache though x